Given:
┌──
Record 1
Here is an optimized crystal structure of GdTlOs from OQMD. Energies are from PBE.

Output
Volume: 24.86 Å³/atom
Energy above the most stable polymorph in this dataset: 0 meV/atom
Electronic total energy: -5.390 eV per atom

abc: 4.725 4.725 4.725
angles: 60.00 60.00 60.00
Fractional coordinates of all 3 atoms:
Gd (0.000, 0.000, 0.000)
Tl (0.250, 0.250, 0.250)
Os (0.500, 0.500, 0.500)

---

Record 2
Here is an optimized crystal structure of LaZrAgN from OQMD. Energies are from PBE.

Output
Volume: 19.67 Å³/atom
Electronic total energy: -7.088 eV per atom

abc: 9.927 9.927 4.582
angles: 90.00 90.00 159.61
Fractional coordinates of all 8 atoms:
La (0.110, 0.890, 0.750)
La (0.890, 0.110, 0.250)
Zr (0.282, 0.718, 0.750)
Zr (0.718, 0.282, 0.250)
Ag (0.455, 0.545, 0.750)
Ag (0.545, 0.455, 0.250)
N (0.292, 0.708, 0.250)
N (0.708, 0.292, 0.750)

---

Record 3
Here is an optimized crystal structure of Sr2ZnP2 from OQMD. Energies are from PBE.

Output
Volume: 25.23 Å³/atom
Electronic total energy: -4.020 eV per atom

abc: 7.699 7.699 7.699
angles: 130.09 71.44 132.40
Fractional coordinates of all 10 atoms:
Sr (0.141, 0.191, 0.331)
Sr (0.359, 0.691, 0.050)
Sr (0.641, 0.309, 0.950)
Sr (0.859, 0.809, 0.669)
Zn (0.250, 0.750, 0.500)
Zn (0.750, 0.250, 0.500)
P (0.111, 0.710, 0.821)
P (0.389, 0.210, 0.599)
P (0.611, 0.790, 0.401)
P (0.889, 0.290, 0.179)

---

Record 4
Here is an optimized crystal structure of Pm2SmN3 from OQMD. Energies are from PBE.

Output
Volume: 16.33 Å³/atom
Electronic total energy: -7.983 eV per atom

abc: 3.587 3.587 8.790
angles: 90.00 90.00 120.00
Fractional coordinates of all 6 atoms:
Pm (0.333, 0.667, 0.333)
Pm (0.667, 0.333, 0.667)
Sm (0.000, 0.000, 0.000)
N (0.000, 0.000, 0.500)
N (0.333, 0.667, 0.834)
N (0.667, 0.333, 0.166)

---

Record 5
Here is an optimized crystal structure of K5OsO6 from OQMD. Energies are from PBE.

Output
Volume: 16.51 Å³/atom
Electronic total energy: -5.253 eV per atom

abc: 6.276 6.276 6.163
angles: 100.39 100.39 119.12
Fractional coordinates of all 12 atoms:
K (0.000, 0.000, 0.000)
K (0.166, 0.834, 0.500)
K (0.329, 0.671, 0.000)
K (0.671, 0.329, 0.000)
K (0.834, 0.166, 0.500)
Os (0.500, 0.500, 0.500)
O (0.183, 0.436, 0.304)
O (0.319, 0.319, 0.691)
O (0.436, 0.183, 0.304)
O (0.564, 0.817, 0.696)
O (0.681, 0.681, 0.309)
O (0.817, 0.564, 0.696)

---

Record 6
Here is an optimized crystal structure of AcZrAg from OQMD. Energies are from PBE.

Output
Volume: 31.50 Å³/atom
ΔE_f: 0.448 eV/atom
Energy above the most stable polymorph in this dataset: 0 meV/atom
Electronic total energy: -4.711 eV per atom

abc: 5.113 5.113 5.113
angles: 60.00 60.00 60.00
Fractional coordinates of all 3 atoms:
Ac (0.000, 0.000, 0.000)
Zr (0.500, 0.500, 0.500)
Ag (0.250, 0.250, 0.250)
└──

Wanted:
Set down all of the rows earlier on unchanged.

Response:
Record 1
Here is an optimized crystal structure of GdTlOs from OQMD. Energies are from PBE.

Output
Volume: 24.86 Å³/atom
Energy above the most stable polymorph in this dataset: 0 meV/atom
Electronic total energy: -5.390 eV per atom

abc: 4.725 4.725 4.725
angles: 60.00 60.00 60.00
Fractional coordinates of all 3 atoms:
Gd (0.000, 0.000, 0.000)
Tl (0.250, 0.250, 0.250)
Os (0.500, 0.500, 0.500)

---

Record 2
Here is an optimized crystal structure of LaZrAgN from OQMD. Energies are from PBE.

Output
Volume: 19.67 Å³/atom
Electronic total energy: -7.088 eV per atom

abc: 9.927 9.927 4.582
angles: 90.00 90.00 159.61
Fractional coordinates of all 8 atoms:
La (0.110, 0.890, 0.750)
La (0.890, 0.110, 0.250)
Zr (0.282, 0.718, 0.750)
Zr (0.718, 0.282, 0.250)
Ag (0.455, 0.545, 0.750)
Ag (0.545, 0.455, 0.250)
N (0.292, 0.708, 0.250)
N (0.708, 0.292, 0.750)

---

Record 3
Here is an optimized crystal structure of Sr2ZnP2 from OQMD. Energies are from PBE.

Output
Volume: 25.23 Å³/atom
Electronic total energy: -4.020 eV per atom

abc: 7.699 7.699 7.699
angles: 130.09 71.44 132.40
Fractional coordinates of all 10 atoms:
Sr (0.141, 0.191, 0.331)
Sr (0.359, 0.691, 0.050)
Sr (0.641, 0.309, 0.950)
Sr (0.859, 0.809, 0.669)
Zn (0.250, 0.750, 0.500)
Zn (0.750, 0.250, 0.500)
P (0.111, 0.710, 0.821)
P (0.389, 0.210, 0.599)
P (0.611, 0.790, 0.401)
P (0.889, 0.290, 0.179)

---

Record 4
Here is an optimized crystal structure of Pm2SmN3 from OQMD. Energies are from PBE.

Output
Volume: 16.33 Å³/atom
Electronic total energy: -7.983 eV per atom

abc: 3.587 3.587 8.790
angles: 90.00 90.00 120.00
Fractional coordinates of all 6 atoms:
Pm (0.333, 0.667, 0.333)
Pm (0.667, 0.333, 0.667)
Sm (0.000, 0.000, 0.000)
N (0.000, 0.000, 0.500)
N (0.333, 0.667, 0.834)
N (0.667, 0.333, 0.166)

---

Record 5
Here is an optimized crystal structure of K5OsO6 from OQMD. Energies are from PBE.

Output
Volume: 16.51 Å³/atom
Electronic total energy: -5.253 eV per atom

abc: 6.276 6.276 6.163
angles: 100.39 100.39 119.12
Fractional coordinates of all 12 atoms:
K (0.000, 0.000, 0.000)
K (0.166, 0.834, 0.500)
K (0.329, 0.671, 0.000)
K (0.671, 0.329, 0.000)
K (0.834, 0.166, 0.500)
Os (0.500, 0.500, 0.500)
O (0.183, 0.436, 0.304)
O (0.319, 0.319, 0.691)
O (0.436, 0.183, 0.304)
O (0.564, 0.817, 0.696)
O (0.681, 0.681, 0.309)
O (0.817, 0.564, 0.696)

---

Record 6
Here is an optimized crystal structure of AcZrAg from OQMD. Energies are from PBE.

Output
Volume: 31.50 Å³/atom
ΔE_f: 0.448 eV/atom
Energy above the most stable polymorph in this dataset: 0 meV/atom
Electronic total energy: -4.711 eV per atom

abc: 5.113 5.113 5.113
angles: 60.00 60.00 60.00
Fractional coordinates of all 3 atoms:
Ac (0.000, 0.000, 0.000)
Zr (0.500, 0.500, 0.500)
Ag (0.250, 0.250, 0.250)